Mediation And Parenting Plan Development And Parenting Coordination | Patchworks House
Provides a continuum of related services and are often interrelated. -Mediation Mediation is an alternate method of dispute resolution. PWH mediation is facilitated by a trained mediator and parties are guided to solve problems and reach agreements. The goal is that they create a self-determined, personalized agreement – one that they are comfortable with and feel a sense of ownership and commitment to. Our Mediation services focuses mainly on co-parenting issues. -Parenting Plan Development PWH works with parties to create a detailed Parenting Plan. Families may already have a plan that is part of a ivorce decree or other court action, or they may not have yet established any plan. Either way, PWH is able to work with families to establish a realistic working agreement, identify problem areas and/or create an agreed upon modification. PWH’s parenting plan development process is accomplished through a twopronged approach including both education and mediation skills. Plan development can result from the mediation, or ongoing case management processes; it can also be done as a stand-alone process. Parenting plan development through PWH addresses more than the normal court ordered components (residence, holidays, time-sharing, etc.). PWH starts with a worksheet/exploration of potential areas of disagreement (i.e., discipline & rules, first haircut, transportation, religious upbringing, extracurriculars, stepparent involvement, parent teacher conference attendance, etc. etc.) and from this creates a very individualized planning process for the family. The finished child-centered plan will outline the roles, responsibilities and parameters of co-parenting relationships. -Parenting Coordination Parenting Coordination is an advanced dispute resolution process where in high-conflict parties, by order of a court or official arrangement agree to work with a trained Parenting Coordinator. The PC assists parents in the implementation of and compliance with their parenting plan. They help resolve conflicts in a timely manner first by a mediation approach but when no agreement is reached, the PC has actual decision-making authority on some aspect of the case. The goal is to resolve issues in a timely manner, reduce litigation, protect children who may be at risk for harm due to exposure to ongoing conflict between parents. The process is designed to focus on the children’s needs; not on the parents' demands or dislike of one another. The process keeps children out of the middle and protects and sustains safe, healthy and meaningful parent-hild relationships
== Inserted here: molecular data ==
********
Computed, not measured: the molecule CHIOS2 at a distorted geometry, with the ωB97M-V functional and the def2-TZVPD basis.

Atoms and positions in Å:
1 H -1.625 0.017 -0.323
2 I 2.232 -0.203 0.877
3 O 0.125 2.039 0.008
4 C -0.699 -0.577 -0.121
5 S -0.690 -2.118 0.205
6 S 0.658 0.842 -0.647

Energy relative to the best compared isomer or geometry (same formula, charge and spin), kJ/mol: 194.6
HOMO, eV: -9.17

=====

Computed, not measured: the molecule CHIS2 at a distorted geometry, with the ωB97M-V functional and the def2-TZVPD basis.

Atoms and positions in Å:
1 H 1.644 -0.465 0.760
2 S -0.190 1.239 -0.312
3 C -1.505 0.366 -0.330
4 S 1.960 0.587 0.057
5 I -1.909 -1.727 -0.175

Energy relative to the best compared isomer or geometry (same formula, charge and spin), kJ/mol: 235.5
HOMO, eV: -8.90

=====

Computed, not measured: CHLiO2Sr as an isolated structure at a distorted geometry, with the ωB97M-V functional and the def2-TZVPD basis.

Atoms and positions in Å:
1 H -0.524 1.476 0.341
2 Sr 0.427 -2.236 -0.401
3 O -0.519 0.486 0.344
4 O 1.764 0.253 -0.020
5 Li -1.902 -0.602 -0.630
6 C 0.753 0.622 0.366

Net charge: +2
Energy relative to the best compared isomer or geometry (same formula, charge and spin), kJ/mol: 274.3
HOMO (alpha / beta), eV: -15.31 / -17.27

=====

Computed, not measured: CHLiOY as an isolated structure at a distorted geometry, with the ωB97M-V functional and the def2-TZVPD basis.

Atoms and positions in Å:
1 H 0.742 -0.659 -0.676
2 Y 1.792 1.450 1.207
3 Li -1.504 -1.282 0.811
4 O -1.054 0.048 -0.455
5 C 0.025 0.443 -0.887

Net charge: +1
Energy relative to the best compared isomer or geometry (same formula, charge and spin), kJ/mol: 61.7
HOMO (alpha / beta), eV: -10.92 / -10.95

=====

Computed, not measured: a 2-piece molecular cluster, CHN2O2P overall at a distorted geometry, with the ωB97M-V functional and the def2-TZVPD basis.

Atoms and positions in Å:
1 P 0.245 0.508 1.560
2 H 1.425 -0.131 1.569
3 O -0.382 -1.223 -0.070
4 N -1.078 -1.553 -1.055
5 C 0.755 1.470 0.160
6 O -2.131 -1.173 -1.455
7 N 1.167 2.103 -0.710

Energy relative to the best compared isomer or geometry (same formula, charge and spin), kJ/mol: 158.3
HOMO (alpha / beta), eV: -10.85 / -9.19

=====

Computed, not measured: a 2-piece molecular cluster, CHN2O3P overall at a distorted geometry, with the ωB97M-V functional and the def2-TZVPD basis.

Atoms and positions in Å:
1 C -0.175 0.091 -0.441
2 P -1.815 -0.099 0.179
3 N 3.751 -0.051 0.135
4 N 4.125 -1.127 0.263
5 O -1.284 0.811 -1.160
6 O -2.627 -1.296 -0.223
7 O -2.437 0.825 1.205
8 H 0.463 0.846 0.040

Net charge: -2
Energy relative to the best compared isomer or geometry (same formula, charge and spin), kJ/mol: 400.1
HOMO (alpha / beta), eV: 2.92 / 2.92


No. 1
Below is a 2-piece molecular cluster, C3H9NO2 overall, with properties calculated with ωB97M-V/def2-TZVPD.

Last column: Mulliken charge in e.
Geometry (Å):
N (2.3575, -0.6239, -0.2756)  -0.2966
C (3.4570, 0.0799, 0.1325)  0.1180
********
Data provided by
UW 211 Greater Toledo
Physical Address
42 Madison Street, Tiffin, OH 44883
By appointment.
(419) 448-0088
No fees
There are no specific eligibility requirements but there is a screening process for this service.
Service area
Seneca County, Ohio
Agency info
Patchworks House
Serves children and families who are experiencing trials and trauma including but not limited to:difficult divorces/separations, high conflict co-parenting, child abuse/maltreatment, domestic violence, children who witness violence & conflict, parents with untreated mental health and substance abuse, etc. All of these situations can affect healthy and safe parenting. Our services work to safeguard, stabilize and support children’s contact and interaction with parents & families.Services work to help develop safe, healthy, child-centered coparenting relationships. Services also work to protect and safeguard adults / parents who have been victimized and must co-parent with their offender.